## Activity
Please copy the listing further down verbatim.

## Given
[1]
# LiHS
Computed PXRD pattern, λ = 1.5418 Å (Cu Kα). Input: a cell relaxed with PBE.
No peak broadening, texture or thermal motion is included.

Crystal structure
abc: 7.892 7.892 6.188
angles: 90.00 90.00 90.00
Positions (direct):
Li  0.000  0.000  0.250
Li  0.000  0.000  0.750
Li  0.000  0.500  0.250
Li  0.000  0.500  0.750
Li  0.500  0.000  0.250
Li  0.500  0.000  0.750
Li  0.500  0.500  0.250
Li  0.500  0.500  0.750
H  0.187  0.251  0.000
H  0.249  0.313  0.500
H  0.251  0.813  0.500
H  0.313  0.751  0.000
H  0.687  0.249  0.000
H  0.749  0.187  0.500
H  0.751  0.687  0.500
H  0.813  0.749  0.000
S  0.016  0.250  0.000
S  0.250  0.484  0.500
S  0.250  0.984  0.500
S  0.484  0.750  0.000
S  0.516  0.250  0.000
S  0.750  0.016  0.500
S  0.750  0.516  0.500
S  0.984  0.750  0.000

Peak list (10 most intense, 5° ≤ 2θ ≤ 70°, by intensity)
2θ = 26.80°, d 3.327, I = 1000
2θ = 43.69°, d 2.072, I = 279
2θ = 54.04°, d 1.697, I = 199
2θ = 32.08°, d 2.790, I = 187
2θ = 28.86°, d 3.094, I = 163
2θ = 49.89°, d 1.828, I = 153
2θ = 46.00°, d 1.973, I = 124
2θ = 55.22°, d 1.663, I = 68
2θ = 67.09°, d 1.395, I = 34
2θ = 69.47°, d 1.353, I = 33

[2]
# Er5MgNi4
Computed PXRD pattern, λ = 1.5418 Å (Cu Kα). Input: a cell relaxed with PBE.
No peak broadening, texture or thermal motion is included.

Crystal structure
abc: 3.374 3.374 17.862
angles: 90.00 90.00 90.00
Positions (direct):
Er  0.000  0.000  0.000
Er  0.000  0.000  0.186
Er  0.000  0.000  0.369
Er  0.000  0.000  0.631
Er  0.000  0.000  0.814
Mg  0.500  0.500  0.500
Ni  0.500  0.500  0.093
Ni  0.500  0.500  0.282
Ni  0.500  0.500  0.718
Ni  0.500  0.500  0.907

Peak list (10 most intense, 5° ≤ 2θ ≤ 70°, by intensity)
2θ = 36.63°, d 2.453, I = 1000
2θ = 37.70°, d 2.386, I = 690
2θ = 26.41°, d 3.374, I = 405
2θ = 40.40°, d 2.232, I = 374
2θ = 67.36°, d 1.390, I = 328
2θ = 54.38°, d 1.687, I = 237
2θ = 69.88°, d 1.346, I = 148
2θ = 24.92°, d 3.572, I = 118
2θ = 9.90°, d 8.931, I = 116
2θ = 45.73°, d 1.984, I = 105

[3]
# Rb5B2S6
Computed PXRD pattern, λ = 1.5418 Å (Cu Kα). Input: a cell relaxed with PBE.
No peak broadening, texture or thermal motion is included.

Crystal structure
abc: 7.399 7.399 16.711
angles: 94.68 94.68 74.76
Positions (direct):
Rb  0.186  0.814  0.750
Rb  0.212  0.733  0.002
Rb  0.214  0.447  0.303
Rb  0.267  0.788  0.498
Rb  0.447  0.214  0.803
Rb  0.553  0.786  0.197
Rb  0.733  0.212  0.502
Rb  0.786  0.553  0.697
Rb  0.788  0.267  0.998
Rb  0.814  0.186  0.250
B  0.250  0.290  0.585
B  0.290  0.250  0.085
B  0.710  0.750  0.915
B  0.750  0.710  0.415
S  0.123  0.173  0.646
S  0.173  0.123  0.146
S  0.242  0.251  0.477
S  0.251  0.242  0.977
S  0.388  0.445  0.635
S  0.445  0.388  0.135
S  0.555  0.612  0.865
S  0.612  0.555  0.365
S  0.749  0.758  0.023
S  0.758  0.749  0.523
S  0.827  0.877  0.854
S  0.877  0.827  0.354

Peak list (10 most intense, 5° ≤ 2θ ≤ 70°, by intensity)
2θ = 24.99°, d 3.563, I = 1000
2θ = 25.97°, d 3.431, I = 747
2θ = 29.28°, d 3.051, I = 631
2θ = 20.48°, d 4.337, I = 611
2θ = 19.67°, d 4.513, I = 602
2θ = 35.69°, d 2.516, I = 582
2θ = 32.05°, d 2.792, I = 577
2θ = 27.58°, d 3.235, I = 463
2θ = 28.40°, d 3.143, I = 444
2θ = 37.90°, d 2.374, I = 424

[4]
# ZnSnF5
Computed PXRD pattern, λ = 1.5418 Å (Cu Kα). Input: a cell relaxed with PBE.
No peak broadening, texture or thermal motion is included.

Crystal structure
abc: 5.767 5.767 8.453
angles: 111.90 111.90 80.79
Positions (direct):
Zn  0.072  0.928  0.750
Zn  0.928  0.072  0.250
Sn  0.500  0.500  0.000
Sn  0.500  0.500  0.500
F  0.172  0.271  0.849
F  0.187  0.744  0.544
F  0.256  0.813  0.956
F  0.271  0.172  0.349
F  0.448  0.552  0.250
F  0.552  0.448  0.750
F  0.729  0.828  0.651
F  0.744  0.187  0.044
F  0.813  0.256  0.456
F  0.828  0.729  0.151

Peak list (10 most intense, 5° ≤ 2θ ≤ 70°, by intensity)
2θ = 24.19°, d 3.679, I = 1000
2θ = 23.23°, d 3.829, I = 606
2θ = 23.81°, d 3.737, I = 394
2θ = 16.57°, d 5.349, I = 221
2θ = 49.53°, d 1.840, I = 221

## Here it is
[1]
# LiHS
Computed PXRD pattern, λ = 1.5418 Å (Cu Kα). Input: a cell relaxed with PBE.
No peak broadening, texture or thermal motion is included.

Crystal structure
abc: 7.892 7.892 6.188
angles: 90.00 90.00 90.00
Positions (direct):
Li  0.000  0.000  0.250
Li  0.000  0.000  0.750
Li  0.000  0.500  0.250
Li  0.000  0.500  0.750
Li  0.500  0.000  0.250
Li  0.500  0.000  0.750
Li  0.500  0.500  0.250
Li  0.500  0.500  0.750
H  0.187  0.251  0.000
H  0.249  0.313  0.500
H  0.251  0.813  0.500
H  0.313  0.751  0.000
H  0.687  0.249  0.000
H  0.749  0.187  0.500
H  0.751  0.687  0.500
H  0.813  0.749  0.000
S  0.016  0.250  0.000
S  0.250  0.484  0.500
S  0.250  0.984  0.500
S  0.484  0.750  0.000
S  0.516  0.250  0.000
S  0.750  0.016  0.500
S  0.750  0.516  0.500
S  0.984  0.750  0.000

Peak list (10 most intense, 5° ≤ 2θ ≤ 70°, by intensity)
2θ = 26.80°, d 3.327, I = 1000
2θ = 43.69°, d 2.072, I = 279
2θ = 54.04°, d 1.697, I = 199
2θ = 32.08°, d 2.790, I = 187
2θ = 28.86°, d 3.094, I = 163
2θ = 49.89°, d 1.828, I = 153
2θ = 46.00°, d 1.973, I = 124
2θ = 55.22°, d 1.663, I = 68
2θ = 67.09°, d 1.395, I = 34
2θ = 69.47°, d 1.353, I = 33

[2]
# Er5MgNi4
Computed PXRD pattern, λ = 1.5418 Å (Cu Kα). Input: a cell relaxed with PBE.
No peak broadening, texture or thermal motion is included.

Crystal structure
abc: 3.374 3.374 17.862
angles: 90.00 90.00 90.00
Positions (direct):
Er  0.000  0.000  0.000
Er  0.000  0.000  0.186
Er  0.000  0.000  0.369
Er  0.000  0.000  0.631
Er  0.000  0.000  0.814
Mg  0.500  0.500  0.500
Ni  0.500  0.500  0.093
Ni  0.500  0.500  0.282
Ni  0.500  0.500  0.718
Ni  0.500  0.500  0.907

Peak list (10 most intense, 5° ≤ 2θ ≤ 70°, by intensity)
2θ = 36.63°, d 2.453, I = 1000
2θ = 37.70°, d 2.386, I = 690
2θ = 26.41°, d 3.374, I = 405
2θ = 40.40°, d 2.232, I = 374
2θ = 67.36°, d 1.390, I = 328
2θ = 54.38°, d 1.687, I = 237
2θ = 69.88°, d 1.346, I = 148
2θ = 24.92°, d 3.572, I = 118
2θ = 9.90°, d 8.931, I = 116
2θ = 45.73°, d 1.984, I = 105

[3]
# Rb5B2S6
Computed PXRD pattern, λ = 1.5418 Å (Cu Kα). Input: a cell relaxed with PBE.
No peak broadening, texture or thermal motion is included.

Crystal structure
abc: 7.399 7.399 16.711
angles: 94.68 94.68 74.76
Positions (direct):
Rb  0.186  0.814  0.750
Rb  0.212  0.733  0.002
Rb  0.214  0.447  0.303
Rb  0.267  0.788  0.498
Rb  0.447  0.214  0.803
Rb  0.553  0.786  0.197
Rb  0.733  0.212  0.502
Rb  0.786  0.553  0.697
Rb  0.788  0.267  0.998
Rb  0.814  0.186  0.250
B  0.250  0.290  0.585
B  0.290  0.250  0.085
B  0.710  0.750  0.915
B  0.750  0.710  0.415
S  0.123  0.173  0.646
S  0.173  0.123  0.146
S  0.242  0.251  0.477
S  0.251  0.242  0.977
S  0.388  0.445  0.635
S  0.445  0.388  0.135
S  0.555  0.612  0.865
S  0.612  0.555  0.365
S  0.749  0.758  0.023
S  0.758  0.749  0.523
S  0.827  0.877  0.854
S  0.877  0.827  0.354

Peak list (10 most intense, 5° ≤ 2θ ≤ 70°, by intensity)
2θ = 24.99°, d 3.563, I = 1000
2θ = 25.97°, d 3.431, I = 747
2θ = 29.28°, d 3.051, I = 631
2θ = 20.48°, d 4.337, I = 611
2θ = 19.67°, d 4.513, I = 602
2θ = 35.69°, d 2.516, I = 582
2θ = 32.05°, d 2.792, I = 577
2θ = 27.58°, d 3.235, I = 463
2θ = 28.40°, d 3.143, I = 444
2θ = 37.90°, d 2.374, I = 424

[4]
# ZnSnF5
Computed PXRD pattern, λ = 1.5418 Å (Cu Kα). Input: a cell relaxed with PBE.
No peak broadening, texture or thermal motion is included.

Crystal structure
abc: 5.767 5.767 8.453
angles: 111.90 111.90 80.79
Positions (direct):
Zn  0.072  0.928  0.750
Zn  0.928  0.072  0.250
Sn  0.500  0.500  0.000
Sn  0.500  0.500  0.500
F  0.172  0.271  0.849
F  0.187  0.744  0.544
F  0.256  0.813  0.956
F  0.271  0.172  0.349
F  0.448  0.552  0.250
F  0.552  0.448  0.750
F  0.729  0.828  0.651
F  0.744  0.187  0.044
F  0.813  0.256  0.456
F  0.828  0.729  0.151

Peak list (10 most intense, 5° ≤ 2θ ≤ 70°, by intensity)
2θ = 24.19°, d 3.679, I = 1000
2θ = 23.23°, d 3.829, I = 606
2θ = 23.81°, d 3.737, I = 394
2θ = 16.57°, d 5.349, I = 221
2θ = 49.53°, d 1.840, I = 221